## Given
'''
Entry 1:
The following is a DFT calculation (PBE) of a relaxed BaCaLaBiO6 crystal.

Cell lengths 6.2565, 6.2565, 6.2565 Å; angles 60.00, 60.00, 60.00 degrees
Last column: nearest neighbours and their distance in Å.
Sites, in units of the cell vectors:
Ba1 0.7500 0.7500 0.7500  12 O 3.13
Ca1 0.2500 0.2500 0.2500  12 O 3.13
La1 0.5000 0.5000 0.5000  6 O 2.31
Bi1 0.0000 0.0000 0.0000  6 O 2.11
O1 0.7613 0.2387 0.2387  1 Bi 2.11, 1 La 2.31
O2 0.2387 0.7613 0.7613  1 Bi 2.11, 1 La 2.31
O3 0.7613 0.2387 0.7613  1 Bi 2.11, 1 La 2.31
O4 0.2387 0.7613 0.2387  1 Bi 2.11, 1 La 2.31
O5 0.7613 0.7613 0.2387  1 Bi 2.11, 1 La 2.31
O6 0.2387 0.2387 0.7613  1 Bi 2.11, 1 La 2.31

Summary:
- SG: No. 216
- Distance to the lowest polymorph of the same formula: 157 meV per atom
- ΔE_f: -26.22 eV/f.u.

---

Entry 2:
The following is a DFT calculation (PBE) of a relaxed NaSn crystal.

Cell lengths 11.5064, 11.5064, 11.5064 Å; angles 125.79, 125.79, 80.23 degrees
Last column: nearest neighbours and their distance in Å.
Sites, in units of the cell vectors:
Na1 0.1250 0.2528 0.6278  8 Sn 3.42-3.57, 4 Na 3.65-3.66
Na2 0.0028 0.8750 0.6278  8 Sn 3.42-3.57, 4 Na 3.65-3.66
Na3 0.2472 0.3750 0.3722  8 Sn 3.42-3.57, 4 Na 3.65-3.66
Na4 0.6250 0.4972 0.3722  8 Sn 3.42-3.57, 4 Na 3.65-3.66
Na5 0.6250 0.9972 0.8722  8 Sn 3.42-3.57, 4 Na 3.65-3.66
Na6 0.7472 0.3750 0.8722  8 Sn 3.42-3.57, 4 Na 3.65-3.66
Na7 0.5028 0.8750 0.1278  8 Sn 3.42-3.57, 4 Na 3.65-3.66
Na8 0.1250 0.7528 0.1278  8 Sn 3.42-3.57, 4 Na 3.65-3.66
Na9 0.6226 0.6226 0.7451  6 Sn 3.37-3.47, 4 Na 3.65-3.66
Na10 0.3726 0.1274 0.5000  6 Sn 3.37-3.47, 4 Na 3.65-3.66
Na11 0.6274 0.8726 0.5000  6 Sn 3.37-3.47, 4 Na 3.65-3.66
Na12 0.8774 0.8774 0.2549  6 Sn 3.37-3.47, 4 Na 3.65-3.66
Na13 0.1274 0.6274 0.7549  6 Sn 3.37-3.47, 4 Na 3.65-3.66
Na14 0.3774 0.1226 0.0000  6 Sn 3.37-3.47, 4 Na 3.65-3.66
Na15 0.1226 0.3774 0.0000  6 Sn 3.37-3.47, 4 Na 3.65-3.66
Na16 0.8726 0.3726 0.2451  6 Sn 3.37-3.47, 4 Na 3.65-3.66
Sn1 0.9343 0.1300 0.9413  3 Sn 3.03-3.05, 2 Na 3.37
Sn2 0.8800 0.4387 0.6958  3 Sn 3.03-3.05, 2 Na 3.37
Sn3 0.7429 0.1843 0.3042  3 Sn 3.03-3.05, 2 Na 3.37
Sn4 0.3157 0.7571 0.6958  3 Sn 3.03-3.05, 2 Na 3.37
Sn5 0.0613 0.6200 0.3042  3 Sn 3.03-3.05, 2 Na 3.37
Sn6 0.5071 0.3113 0.9413  3 Sn 3.03-3.05, 2 Na 3.37
Sn7 0.3700 0.5657 0.0587  3 Sn 3.03-3.05, 2 Na 3.37
Sn8 0.1887 0.9929 0.0587  3 Sn 3.03-3.05, 2 Na 3.37
Sn9 0.8157 0.1200 0.5587  3 Sn 3.03-3.05, 2 Na 3.37
Sn10 0.8700 0.8113 0.8042  3 Sn 3.03-3.05, 2 Na 3.37
Sn11 0.0071 0.0657 0.1958  3 Sn 3.03-3.05, 2 Na 3.37
Sn12 0.4343 0.4929 0.8042  3 Sn 3.03-3.05, 2 Na 3.37
Sn13 0.6887 0.6300 0.1958  3 Sn 3.03-3.05, 2 Na 3.37
Sn14 0.2429 0.9387 0.5587  3 Sn 3.03-3.05, 2 Na 3.37
Sn15 0.3800 0.6843 0.4413  3 Sn 3.03-3.05, 2 Na 3.37
Sn16 0.5613 0.2571 0.4413  3 Sn 3.03-3.05, 2 Na 3.37

Summary:
- SG: No. 142
- ΔE_f: -0.44 eV/f.u.

---

Entry 3:
The following is a DFT calculation (PBE) of a relaxed TmB2Os crystal.

Cell lengths 5.8419, 5.2799, 6.3276 Å; angles 90.00, 90.00, 90.00 degrees
Last column: nearest neighbours and their distance in Å.
Sites, in units of the cell vectors:
Tm1 0.0106 0.2500 0.3342  6 B 2.58-2.67
Tm2 0.5106 0.2500 0.1658  6 B 2.58-2.67
Tm3 0.9894 0.7500 0.6658  6 B 2.58-2.67
Tm4 0.4894 0.7500 0.8342  6 B 2.58-2.67
B1 0.3615 0.0814 0.5379  2 B 1.78-1.89
B2 0.8615 0.4186 0.9621  2 B 1.78-1.89
B3 0.6385 0.5814 0.4621  2 B 1.78-1.89
B4 0.1385 0.9186 0.0379  2 B 1.78-1.89
B5 0.6385 0.9186 0.4621  2 B 1.78-1.89
B6 0.1385 0.5814 0.0379  2 B 1.78-1.89
B7 0.3615 0.4186 0.5379  2 B 1.78-1.89
B8 0.8615 0.0814 0.9621  2 B 1.78-1.89
Os1 0.1768 0.2500 0.8177  6 B 2.24-2.26
Os2 0.6768 0.2500 0.6823  6 B 2.24-2.26
Os3 0.8232 0.7500 0.1823  6 B 2.24-2.26
Os4 0.3232 0.7500 0.3177  6 B 2.24-2.26

Summary:
- SG: No. 62
- ΔE_f: -2.49 eV/f.u.

---

Entry 4:
The following is a DFT calculation (PBE) of a relaxed KU2F9 crystal.

Cell lengths 8.1394, 10.2549, 10.5099 Å; angles 90.00, 90.00, 90.00 degrees
Last column: nearest neighbours and their distance in Å.
'''
## Request
Search the material earlier on for the word "O6" and print each line that has it.
## Worked solution
O6 0.2387 0.2387 0.7613  1 Bi 2.11, 1 La 2.31